Now filter the data underneath: keep the lines with the word "raw".
- - -
Entry from Alexandria: a geometry-optimized KLiSi2 structure (PBE-GGA).

Energy above the lowest structure with this stoichiometry, eV/atom: 0.0500
Formation energy from raw total energies, meV per atom: 63

a b c (Å): 2.886 4.127 7.154
angles (deg): 90.00 90.00 90.00
Space group Pmmm (No. 47)
Asymmetric unit:
K (0.000, 0.000, 0.000) [1 per cell]
Li (0.000, 0.000, 0.500) [1 per cell]
Si (0.500, 0.500, 0.337) [2 per cell]

Entry from Alexandria: a geometry-optimized MgScSb2 structure (PBE-GGA).

Formation energy from raw total energies, meV per atom: -499

a b c (Å): 3.557 4.615 6.169
angles (deg): 90.00 90.00 90.00
Space group Pmm2 (No. 25)
Asymmetric unit:
Mg (0.000, 0.000, 0.000) [1 per cell]
Sc (0.500, 0.500, 0.611) [1 per cell]
Sb (0.000, 0.000, 0.528) [1 per cell]
Sb (0.500, 0.500, 0.104) [1 per cell]

Entry from Alexandria: a geometry-optimized SnPtW structure (PBE-GGA).

Formation enthalpy at 0 K, meV per atom: 242

a b c (Å): 13.318 3.332 4.836
angles (deg): 90.00 90.00 90.00
Space group Amm2 (No. 38)
Asymmetric unit:
Sn (0.169, 0.000, 0.000) [4 per cell]
Pt (0.000, 0.000, 0.342) [2 per cell]
Pt (0.500, 0.000, 0.982) [2 per cell]
W (0.342, 0.000, 0.352) [4 per cell]

Entry from Alexandria: a geometry-optimized Pm12Dy6Ho structure (PBE-GGA).

Energy above the lowest structure with this stoichiometry, eV/atom: 0.0000
Formation enthalpy at 0 K, meV per atom: 137

a b c (Å): 12.1101 12.1101 15.2452
angles (deg): 90.00 90.00 120.00
Space group R-3 (No. 148, hexagonal axes)
Asymmetric unit:
Pm (0.0042, 0.1743, 0.1912) [18 per cell]
Pm (0.0462, 0.1963, 0.4164) [18 per cell]
Dy (0.0148, 0.5883, 0.6861) [18 per cell]
Ho (0.0000, 0.0000, 0.0000) [3 per cell]

Entry from Alexandria: a geometry-optimized FeSb6Os structure (PBE-GGA).

Formation energy from raw total energies, meV per atom: 7

a b c (Å): 13.136 9.330 9.318
angles (deg): 90.00 134.80 90.00
Space group C2/m (No. 12)
Asymmetric unit:
Fe (0.250, 0.250, 0.000) [4 per cell]
Sb (0.004, 0.157, 0.839) [8 per cell]
Sb (0.157, 0.334, 0.661) [8 per cell]
Sb (0.164, 0.500, 0.319) [4 per cell]
Sb (0.167, 0.500, 0.007) [4 per cell]
Os (0.250, 0.250, 0.500) [4 per cell]

Entry from Alexandria: a geometry-optimized MnSn3Ir structure (PBE-GGA).

Energy above the lowest structure with this stoichiometry, eV/atom: 0.2777
Formation enthalpy at 0 K, meV per atom: 802

a b c (Å): 4.963 4.963 4.963
angles (deg): 90.00 90.00 90.00
Space group Pm-3m (No. 221)
Asymmetric unit:
Mn (0.000, 0.000, 0.000) [1 per cell]
Sn (0.000, 0.000, 0.500) [3 per cell]
Ir (0.500, 0.500, 0.500) [1 per cell]
- - -
Formation energy from raw total energies, meV per atom: 63
Formation energy from raw total energies, meV per atom: -499
Formation energy from raw total energies, meV per atom: 7